In a twist of events that captivated the American political landscape, the fiery debate between the camps of Vice President Mike Pence and Senator Kamala Harris left a trail of discourse that has lingered and evolved into a debate about the possibility of a second face-off among the two vice-presidential candidates. The initial clash in Salt Lake City was marked by interruptions, sharp exchanges, and a rigid display of contrasting ideologies that showcased the stark divide between the Republican and Democratic platforms. However, it seems that the political bout is far from over, as the wrangling over a potential second debate has now taken center stage.
The call for a second debate between Senator Harris and Vice President Pence comes amidst growing concerns over the chaotic nature of the first encounter, which was marred by frequent interruptions and the breaching of time limits. Both camps have raised issues regarding the format and rules for the upcoming debates, with the Trump campaign advocating for a return to the traditional setup that includes an in-person audience and the presence of moderators who would maintain order and adherence to the rules.
(Data records from another source follow)
____________
Record 1
Below is a geometry-optimized AlNi2S4 structure, with properties calculated at the PBE-GGA level.

Computed properties:
raw total energy	-4.98	eV/atom
symmetry	Imma, No. 74

a b c (Å): 6.8070 6.8070 6.8070
angles (deg): 119.45 118.36 91.91
With the nearest neighbours (Å) after each atom.
Sites, in units of the cell vectors:
Al: 0.5000 0.0000 0.5000  6 S 2.41-2.45
Al: 0.0000 0.0000 0.0000  6 S 2.41-2.45
Ni: 0.5000 0.5000 0.5000  6 S 2.31-2.32
Ni: 0.5000 0.5000 0.0000  6 S 2.30-2.48
Ni: 0.5000 0.0000 0.0000  6 S 2.31-2.32
Ni: 0.0000 0.5000 0.5000  6 S 2.30-2.48
S: 0.7294 0.2579 0.4716  3 Ni 2.30-2.31, 1 Al 2.45
S: 0.7445 0.7521 0.5075  3 Ni 2.32-2.48, 2 Al 2.41
S: 0.2863 0.2579 0.0284  3 Ni 2.30-2.31, 1 Al 2.45
S: 0.2555 0.7630 0.0075  3 Ni 2.32-2.48, 2 Al 2.41
S: 0.7137 0.7421 0.9716  3 Ni 2.30-2.31, 1 Al 2.45
S: 0.2555 0.2479 0.4925  3 Ni 2.32-2.48, 2 Al 2.41
S: 0.7445 0.2370 0.9925  3 Ni 2.32-2.48, 2 Al 2.41
S: 0.2706 0.7421 0.5284  3 Ni 2.30-2.31, 1 Al 2.45



Record 2
Below is a geometry-optimized Sm3AlNiS7 structure, with properties calculated at the PBE-GGA level.

Computed properties:
raw total energy	-5.94	eV/atom
symmetry	P6_3, No. 173

a b c (Å): 9.7815 9.7815 6.1151
angles (deg): 90.00 90.00 120.00
With the nearest neighbours (Å) after each atom.
Sites, in units of the cell vectors:
Sm: 0.7719 0.1448 0.2354  7 S 2.79-2.96
Sm: 0.3729 0.2281 0.2354  7 S 2.79-2.96
Sm: 0.8552 0.6271 0.2354  7 S 2.79-2.96
Sm: 0.2281 0.8552 0.7354  7 S 2.79-2.96
Sm: 0.6271 0.7719 0.7354  7 S 2.79-2.96
Sm: 0.1448 0.3729 0.7354  7 S 2.79-2.96
Al: 0.6667 0.3333 0.6617  4 S 2.23-2.24
Al: 0.3333 0.6667 0.1617  4 S 2.23-2.24
Ni: 0.0000 0.0000 0.0314  6 S 2.40-2.56
Ni: 0.0000 0.0000 0.5314  6 S 2.40-2.56
S: 0.8624 0.0913 0.8027  2 Ni 2.40-2.56
S: 0.2290 0.1376 0.8027  2 Ni 2.40-2.56
S: 0.9087 0.7710 0.8027  2 Ni 2.40-2.56
S: 0.1376 0.9087 0.3027  2 Ni 2.40-2.56
S: 0.7710 0.8624 0.3027  2 Ni 2.40-2.56
S: 0.0913 0.2290 0.3027  2 Ni 2.40-2.56
S: 0.9057 0.4241 0.5102  1 Al 2.24
S: 0.5183 0.0943 0.5102  1 Al 2.24
S: 0.5759 0.4817 0.5102  1 Al 2.24
S: 0.0943 0.5759 0.0102  1 Al 2.24
S: 0.4817 0.9057 0.0102  1 Al 2.24
S: 0.4241 0.5183 0.0102  1 Al 2.24
S: 0.6667 0.3333 0.0259  1 Al 2.23
S: 0.3333 0.6667 0.5259  1 Al 2.23



Record 3
Below is a geometry-optimized Al4Ni15Sb structure, with properties calculated at the PBE-GGA level.

Computed properties:
raw total energy	-5.67	eV/atom
symmetry	P4/mmm, No. 123

a b c (Å): 3.5998 3.5998 17.8626
angles (deg): 90.00 90.00 90.00
With the nearest neighbours (Å) after each atom.
Sites, in units of the cell vectors:
Al: 0.0000 0.0000 0.2055  12 Ni 2.50-2.55
Al: 0.0000 0.0000 0.4008  12 Ni 2.51-2.55
Al: 0.0000 0.0000 0.5992  12 Ni 2.51-2.55
Al: 0.0000 0.0000 0.7945  12 Ni 2.50-2.55
Ni: 0.5000 0.5000 0.0000  4 Sb 2.55, 8 Ni 2.62
Ni: 0.5000 0.5000 0.2040  8 Ni 2.51-2.52, 4 Al 2.55
Ni: 0.5000 0.5000 0.4007  8 Ni 2.51-2.53, 4 Al 2.55
Ni: 0.5000 0.5000 0.5993  8 Ni 2.51-2.53, 4 Al 2.55
____________
Conversely, the Harris camp has expressed hesitance towards the notion of a second debate, citing the Pence team’s failure to adhere to the agreed-upon guidelines during the first debate. The Senator’s team has called for better enforcement of the rules, along with measures to ensure a civil and respectful exchange of ideas. The possibility of a virtual debate has also been raised, given the ongoing COVID-19 pandemic and the need to prioritize the health and safety of the candidates and staff involved.
/*
(1)
The following is a PBE calculation of a geometry-optimized Li2AgF5 structure, from the Materials Project database.

Lattice parameters (Å, degrees): 8.2316 5.2207 10.1711 90.00 111.49 90.00
Element x y z (fractional)
Li  0.1367  0.0307  0.3722
Li  0.1367  0.4693  0.8722
Li  0.3522  0.0079  0.6692
Li  0.3522  0.4921  0.1692
Li  0.6478  0.5079  0.8308
Li  0.6478  0.9921  0.3308
Li  0.8633  0.5307  0.1278
Li  0.8633  0.9693  0.6278
Ag  0.0000  0.0000  0.0000
Ag  0.0000  0.5000  0.5000
Ag  0.5000  0.0000  0.0000
Ag  0.5000  0.5000  0.5000
F  0.0411  0.6545  0.6902
F  0.0411  0.8455  0.1902
F  0.1237  0.1796  0.5771
F  0.1237  0.3204  0.0771
F  0.2677  0.7098  0.0108
F  0.2677  0.7902  0.5108
F  0.3291  0.2260  0.8644
F  0.3291  0.2740  0.3644
F  0.4900  0.7066  0.3303
F  0.4900  0.7934  0.8303
F  0.5100  0.2066  0.1697
F  0.5100  0.2934  0.6697
F  0.6709  0.7260  0.6356
F  0.6709  0.7740  0.1356
F  0.7323  0.2098  0.4892
F  0.7323  0.2902  0.9892
F  0.8763  0.6796  0.9229
F  0.8763  0.8204  0.4229
F  0.9589  0.1545  0.8098
F  0.9589  0.3455  0.3098

## Properties
The value obtained for the formation energy from the elements is -2.24 eV per atom. Its symmetry is P2_1/c, No. 14. For the total energy, the calculation gives -127.397 eV per cell. The calculated density comes out at 3.54 g cm⁻³. The energy above the lowest structure with this stoichiometry comes out at 0.0 kJ per mole of atoms.

(2)
The following is a PBE calculation of a geometry-optimized Eu2CdGa structure, from the Materials Project database.

Lattice parameters (Å, degrees): 5.4571 5.4571 5.4571 60.00 60.00 60.00
Element x y z (fractional)
Eu  0.2500  0.2500  0.2500
Eu  0.7500  0.7500  0.7500
Cd  0.0000  0.0000  0.0000
Ga  0.5000  0.5000  0.5000

## Properties
The value obtained for the formation energy from the elements is -0.41 eV per atom. Its symmetry is Fm-3m, No. 225. For the total energy, the calculation gives -26.094 eV per cell. The calculated density comes out at 7.02 g cm⁻³.

(3)
The following is a PBE calculation of a geometry-optimized NdInPd2 structure, from the Materials Project database.

Lattice parameters (Å, degrees): 4.9174 4.9174 4.9174 60.00 60.00 60.00
Element x y z (fractional)
Nd  0.0000  0.0000  0.0000
In  0.5000  0.5000  0.5000
Pd  0.2500  0.2500  0.2500
Pd  0.7500  0.7500  0.7500

## Properties
The value obtained for the formation energy from the elements is -0.73 eV per atom. Its symmetry is Fm-3m, No. 225. For the total energy, the calculation gives -20.786 eV per cell. The calculated density comes out at 9.32 g cm⁻³.

(4)
The following is a PBE calculation of a geometry-optimized Tm2Mg2O5 structure, from the Materials Project database.

Lattice parameters (Å, degrees): 3.8427 3.8427 7.1409 90.00 90.00 90.00
Element x y z (fractional)
Tm  0.0000  0.0000  0.0000
Tm  0.0000  0.0000  0.5000
Mg  0.5000  0.5000  0.2361
Mg  0.5000  0.5000  0.7639
O  0.0000  0.5000  0.1966
O  0.0000  0.5000  0.8034
O  0.5000  0.0000  0.1966
O  0.5000  0.0000  0.8034
*/
The discussion surrounding the potential second debate between Senator Harris and Vice President Pence underscores the significance of these debates in shaping public opinion and informing voters about the candidates’ policies and stances on critical issues. The American electorate looks towards these debates as opportunities to gauge the competency and suitability of the contenders for the second-highest office in the land, making it imperative for both camps to engage in a constructive and informative dialogue that resonates with the concerns and aspirations of the voting populace.
**Misplaced materials data**
/*
Record 1
VASP calculation (r²SCAN) on a geometry-optimized Pr3RhBr3 structure. Values from VASP.

The structure in Quantum ESPRESSO input format:
```
&SYSTEM
  ibrav = 0, nat = 28, ntyp = 3
/
ATOMIC_SPECIES
Pr 140.91 Pr.upf
Rh 102.91 Rh.upf
Br 79.90 Br.upf
CELL_PARAMETERS angstrom
9.428 -3.995 2.118
-5.946 -0.352 8.594
-4.523 -5.580 -7.598
ATOMIC_POSITIONS angstrom
Pr 0.050 -2.285 7.362
Pr 1.048 -4.648 -0.526
Pr 4.789 -5.709 -1.972
Pr -2.747 -5.218 -2.926
Pr -1.233 -1.546 -1.728
Pr -1.363 -0.292 2.225
Pr -2.775 -3.814 0.855
Pr -3.028 -2.635 5.218
Pr 2.275 -1.226 0.464
Pr 4.475 -4.556 1.600
Pr -6.139 -4.415 -1.497
Pr 0.487 -3.364 3.380
Rh -3.748 -2.878 -1.651
Rh -2.363 -3.745 7.753
Rh -0.260 -2.482 0.778
Rh -0.616 -1.175 4.826
Br 5.213 -5.540 4.562
Br -1.194 -7.654 -4.320
Br 0.385 -9.738 0.928
Br 1.592 -4.682 6.088
Br -3.357 -8.816 2.617
Br -1.590 -6.459 -0.305
Br 2.091 -7.281 -2.032
Br 0.140 -8.458 4.929
Br -5.505 -5.410 1.393
Br -5.840 -4.179 5.207
Br -2.047 -5.164 3.673
Br 1.786 -6.037 2.171
```

## Properties
E = -23.309 eV per atom
calculated volume = 31.4 Å³ per atom


Record 2
VASP calculation (r²SCAN) on a geometry-optimized RbScBr3 structure. Values from VASP.

The structure in Quantum ESPRESSO input format:
```
&SYSTEM
  ibrav = 0, nat = 10, ntyp = 3
/
ATOMIC_SPECIES
Br 79.90 Br.upf
Sc 44.96 Sc.upf
Rb 85.47 Rb.upf
CELL_PARAMETERS angstrom
0.000 0.000 -6.140
-3.875 -6.713 0.000
-3.876 6.713 0.000
ATOMIC_POSITIONS angstrom
Br -5.780 1.138 -1.535
Br -1.970 -1.138 -4.605
Br -5.780 -1.137 -4.605
Br -3.876 4.438 -1.535
Br -3.875 -4.437 -4.605
Br -1.971 1.138 -1.535
Sc 0.000 0.000 -3.070
Sc 0.000 0.000 -6.140
Rb -3.875 -2.237 -1.535
Rb -3.876 2.238 -4.605
```

## Properties
E = -14.898 eV per atom
calculated volume = 31.9 Å³ per atom

=====

VASP calculation (GGA+U) on crystalline MnZn4O5 at its relaxed geometry.

Properties
ΔH_f (0 K) = -1.821 eV/atom
corrected total energy (MP2020 scheme) = -5.715 eV/atom

abc: 6.286 6.622 13.125
angles: 75.42 83.09 74.86
Space group P1 (No. 1)
Symmetry-distinct sites (fractional):
Mn 0.000 0.000 0.000 x1
Mn 0.000 0.500 0.000 x1
Mn 0.398 0.200 0.403 x1
Mn 0.399 0.700 0.403 x1
Zn 0.061 0.450 0.570 x1
Zn 0.061 0.950 0.570 x1
Zn 0.199 0.101 0.200 x1
Zn 0.199 0.601 0.200 x1
Zn 0.267 0.051 0.766 x1
Zn 0.267 0.551 0.766 x1
Zn 0.469 0.150 0.965 x1
Zn 0.469 0.650 0.965 x1
Zn 0.601 0.299 0.602 x1
Zn 0.601 0.799 0.602 x1
Zn 0.664 0.250 0.169 x1
Zn 0.664 0.750 0.169 x1
Zn 0.797 0.403 0.799 x1
Zn 0.797 0.903 0.799 x1
Zn 0.870 0.350 0.366 x1
Zn 0.870 0.850 0.366 x1
O 0.102 0.362 0.726 x1
O 0.102 0.862 0.726 x1
O 0.168 0.314 0.288 x1
O 0.168 0.814 0.288 x1
O 0.312 0.461 0.921 x1
O 0.312 0.961 0.921 x1
O 0.365 0.411 0.499 x1
O 0.365 0.911 0.499 x1
O 0.502 0.063 0.123 x1
O 0.503 0.563 0.123 x1
O 0.570 0.013 0.690 x1
O 0.570 0.513 0.690 x1
O 0.710 0.160 0.324 x1
O 0.710 0.660 0.324 x1
O 0.766 0.117 0.887 x1
O 0.766 0.617 0.887 x1
O 0.903 0.262 0.524 x1
O 0.903 0.762 0.524 x1
O 0.966 0.210 0.096 x1
O 0.966 0.710 0.096 x1
*/
As the wrangling continues over the format, rules, and feasibility of a second debate between Senator Kamala Harris and Vice President Mike Pence, the American people eagerly await the resolution of these deliberations. The outcome of these negotiations will not only determine the nature of the next face-off but will also reflect the commitment of the candidates and their teams towards upholding the democratic principles that underpin the electoral process. In the midst of a heated and closely contested election season, the spotlight remains firmly fixed on the vice-presidential candidates as they navigate the intricacies of campaign politics and strive to connect with the electorate.